Source
┌──
A relaxed Li3FePCO7 crystal. Source: the Materials Project, functional PBE with a Hubbard U.

Values from the calculation:
V, A^3/atom: 10.7
Polymorph energy (0 for the lowest one), kJ/mol of formula units: 3.4
M_tot, μB per atom: 0.3078
Energy of formation from the pure elements, meV per atom: -2342

Unit cell a=5.024 b=6.448 c=8.650 alpha=90.04 beta=97.48 gamma=90.04
Space group P1 (No. 1)
Unique sites:
Li (0.000, 0.000, 0.000)
Li (0.005, 0.476, 0.015)
Li (0.465, 0.975, 0.579)
Li (0.470, 0.499, 0.594)
Li (0.564, 0.380, 0.223)
Li (0.906, 0.880, 0.370)
Fe (0.518, 0.740, 0.962)
Fe (0.951, 0.240, 0.631)
P (0.477, 0.233, 0.893)
P (0.993, 0.734, 0.700)
C (0.088, 0.279, 0.339)
C (0.381, 0.779, 0.254)
O (0.162, 0.230, 0.874)
O (0.167, 0.332, 0.210)
O (0.217, 0.785, 0.123)
O (0.252, 0.287, 0.470)
O (0.302, 0.833, 0.383)
O (0.308, 0.730, 0.719)
O (0.568, 0.236, 0.730)
O (0.582, 0.428, 0.991)
O (0.599, 0.046, 0.989)
O (0.625, 0.714, 0.245)
O (0.844, 0.214, 0.348)
O (0.870, 0.546, 0.604)
O (0.889, 0.928, 0.602)
O (0.902, 0.737, 0.864)



A relaxed MgMn12O14F10 crystal. Source: the Materials Project, functional PBE with a Hubbard U.

Values from the calculation:
V, A^3/atom: 11.7
Polymorph energy (0 for the lowest one), kJ/mol of formula units: 119.9
M_tot, μB per atom: 1.2933
Energy of formation from the pure elements, meV per atom: -2240

Unit cell a=4.831 b=5.589 c=16.283 alpha=98.20 beta=92.54 gamma=90.54
Space group P1 (No. 1)
Unique sites:
Mg (0.000, 0.000, 0.000)
Mn (0.001, 0.024, 0.518)
Mn (0.026, 0.168, 0.821)
Mn (0.038, 0.792, 0.665)
Mn (0.446, 0.411, 0.182)
Mn (0.469, 0.679, 0.821)
Mn (0.479, 0.271, 0.660)
Mn (0.486, 0.546, 0.506)
Mn (0.488, 0.160, 0.347)
Mn (0.494, 0.309, 0.963)
Mn (0.940, 0.556, 0.076)
Mn (0.960, 0.931, 0.208)
Mn (0.978, 0.659, 0.360)
O (0.119, 0.855, 0.100)
O (0.230, 0.804, 0.568)
O (0.240, 0.344, 0.051)
O (0.259, 0.041, 0.730)
O (0.267, 0.557, 0.709)
O (0.272, 0.153, 0.242)
O (0.281, 0.283, 0.557)
O (0.284, 0.412, 0.875)
O (0.288, 0.456, 0.400)
O (0.687, 0.685, 0.153)
O (0.774, 0.919, 0.310)
O (0.781, 0.743, 0.461)
O (0.803, 0.167, 0.912)
O (0.804, 0.039, 0.616)
F (0.201, 0.654, 0.256)
F (0.233, 0.962, 0.419)
F (0.283, 0.935, 0.914)
F (0.724, 0.359, 0.762)
F (0.731, 0.231, 0.071)
F (0.742, 0.388, 0.281)
F (0.745, 0.551, 0.610)
F (0.748, 0.235, 0.456)
F (0.755, 0.682, 0.968)
F (0.820, 0.844, 0.772)

~~~~~

This record from the Materials Project database describes Li19Mn8C16S4O64 after structural relaxation. The functional is PBE with a Hubbard U.

Cell: 9.459 9.551 16.389 Å, 74.12 73.52 60.37°
Fractional positions:
O 0.737 0.626 0.660
O 0.806 0.766 0.159
O 0.279 0.819 0.858
O 0.006 0.628 0.693
O 0.685 0.947 0.642
O 0.218 0.690 0.637
O 0.262 0.374 0.343
O 0.786 0.129 0.573
O 0.036 0.767 0.828
O 0.746 0.365 0.932
O 0.787 0.299 0.352
O 0.152 0.021 0.568
O 0.517 0.127 0.205
O 0.662 0.521 0.206
O 0.989 0.379 0.303
O 0.089 0.330 0.980
O 0.922 0.894 0.029
O 0.838 0.984 0.291
O 0.879 0.350 0.796
O 0.785 0.576 0.853
O 0.962 0.218 0.646
O 0.976 0.225 0.433
O 0.064 0.784 0.345
O 0.721 0.200 0.143
O 0.887 0.037 0.829
O 0.618 0.165 0.700
O 0.923 0.639 0.030
O 0.588 0.593 0.468
O 0.663 0.884 0.033
O 0.177 0.456 0.144
O 0.322 0.045 0.360
O 0.273 0.265 0.667
O 0.512 0.279 0.074
O 0.148 0.399 0.539
O 0.494 0.874 0.797
O 0.393 0.526 0.326
O 0.114 0.975 0.164
O 0.622 0.473 0.655
O 0.762 0.886 0.834
O 0.135 0.658 0.206
O 0.256 0.648 0.066
O 0.229 0.134 0.161
O 0.096 0.077 0.973
O 0.956 0.242 0.176
O 0.852 0.585 0.465
O 0.528 0.285 0.852
O 0.163 0.996 0.707
O 0.409 0.392 0.546
O 0.537 0.257 0.322
O 0.351 0.083 0.975
O 0.227 0.201 0.847
O 0.002 0.795 0.569
O 0.432 0.706 0.150
O 0.714 0.722 0.340
O 0.597 0.841 0.473
O 0.216 0.872 0.435
O 0.352 0.516 0.786
O 0.648 0.537 0.068
O 0.463 0.741 0.667
O 0.860 0.959 0.428
O 0.360 0.840 0.301
O 0.398 0.144 0.536
O 0.341 0.483 0.929
O 0.474 0.745 0.934
S 0.688 0.685 0.436
S 0.823 0.801 0.063
S 0.309 0.303 0.570
S 0.190 0.176 0.942
C 0.191 0.586 0.138
C 0.298 0.921 0.365
└──

To do
It remains to quote the lines above up to the one that holds "0.218 0.690", that line included.

Response
A relaxed Li3FePCO7 crystal. Source: the Materials Project, functional PBE with a Hubbard U.

Values from the calculation:
V, A^3/atom: 10.7
Polymorph energy (0 for the lowest one), kJ/mol of formula units: 3.4
M_tot, μB per atom: 0.3078
Energy of formation from the pure elements, meV per atom: -2342

Unit cell a=5.024 b=6.448 c=8.650 alpha=90.04 beta=97.48 gamma=90.04
Space group P1 (No. 1)
Unique sites:
Li (0.000, 0.000, 0.000)
Li (0.005, 0.476, 0.015)
Li (0.465, 0.975, 0.579)
Li (0.470, 0.499, 0.594)
Li (0.564, 0.380, 0.223)
Li (0.906, 0.880, 0.370)
Fe (0.518, 0.740, 0.962)
Fe (0.951, 0.240, 0.631)
P (0.477, 0.233, 0.893)
P (0.993, 0.734, 0.700)
C (0.088, 0.279, 0.339)
C (0.381, 0.779, 0.254)
O (0.162, 0.230, 0.874)
O (0.167, 0.332, 0.210)
O (0.217, 0.785, 0.123)
O (0.252, 0.287, 0.470)
O (0.302, 0.833, 0.383)
O (0.308, 0.730, 0.719)
O (0.568, 0.236, 0.730)
O (0.582, 0.428, 0.991)
O (0.599, 0.046, 0.989)
O (0.625, 0.714, 0.245)
O (0.844, 0.214, 0.348)
O (0.870, 0.546, 0.604)
O (0.889, 0.928, 0.602)
O (0.902, 0.737, 0.864)



A relaxed MgMn12O14F10 crystal. Source: the Materials Project, functional PBE with a Hubbard U.

Values from the calculation:
V, A^3/atom: 11.7
Polymorph energy (0 for the lowest one), kJ/mol of formula units: 119.9
M_tot, μB per atom: 1.2933
Energy of formation from the pure elements, meV per atom: -2240

Unit cell a=4.831 b=5.589 c=16.283 alpha=98.20 beta=92.54 gamma=90.54
Space group P1 (No. 1)
Unique sites:
Mg (0.000, 0.000, 0.000)
Mn (0.001, 0.024, 0.518)
Mn (0.026, 0.168, 0.821)
Mn (0.038, 0.792, 0.665)
Mn (0.446, 0.411, 0.182)
Mn (0.469, 0.679, 0.821)
Mn (0.479, 0.271, 0.660)
Mn (0.486, 0.546, 0.506)
Mn (0.488, 0.160, 0.347)
Mn (0.494, 0.309, 0.963)
Mn (0.940, 0.556, 0.076)
Mn (0.960, 0.931, 0.208)
Mn (0.978, 0.659, 0.360)
O (0.119, 0.855, 0.100)
O (0.230, 0.804, 0.568)
O (0.240, 0.344, 0.051)
O (0.259, 0.041, 0.730)
O (0.267, 0.557, 0.709)
O (0.272, 0.153, 0.242)
O (0.281, 0.283, 0.557)
O (0.284, 0.412, 0.875)
O (0.288, 0.456, 0.400)
O (0.687, 0.685, 0.153)
O (0.774, 0.919, 0.310)
O (0.781, 0.743, 0.461)
O (0.803, 0.167, 0.912)
O (0.804, 0.039, 0.616)
F (0.201, 0.654, 0.256)
F (0.233, 0.962, 0.419)
F (0.283, 0.935, 0.914)
F (0.724, 0.359, 0.762)
F (0.731, 0.231, 0.071)
F (0.742, 0.388, 0.281)
F (0.745, 0.551, 0.610)
F (0.748, 0.235, 0.456)
F (0.755, 0.682, 0.968)
F (0.820, 0.844, 0.772)

~~~~~

This record from the Materials Project database describes Li19Mn8C16S4O64 after structural relaxation. The functional is PBE with a Hubbard U.

Cell: 9.459 9.551 16.389 Å, 74.12 73.52 60.37°
Fractional positions:
O 0.737 0.626 0.660
O 0.806 0.766 0.159
O 0.279 0.819 0.858
O 0.006 0.628 0.693
O 0.685 0.947 0.642
O 0.218 0.690 0.637